sharing a bit of my finding joy heart

1) I'm speaking tonight at a homeschool support group, and am sharing a bit of our story. I'd love prayers - that the words aren't just about me, but are words that reflect and direct back to the Father above. Oh yes, and prayers that my heart is calm. But most importantly, that the Lord can use me to bless those around me as I speak about His faithfulness in ALL circumstances.

2) Want to know what I'm talking about? It would be finding joy.
          (I wonder where I got that idea)

these flowers
 --which were a gift from a lifegroup at my church --
 bring me joy

== The page is interrupted by calculated crystals ==
┌──
{"formula": "LiScS2", "functional": "PBE", "state": "optimized geometry", "cell": [[1.8364, 1.0602, 6.3841], [-1.8364, 1.0602, 6.3841], [0.0000, -2.1205, 6.3841]], "species": ["Li", "Sc", "S", "S"], "frac_coords": [[0.0000, 0.0000, 0.0000], [0.8273, 0.8273, 0.8273], [0.2373, 0.2373, 0.2373], [0.4163, 0.4163, 0.4163]], "dos_ef_per_ev_fu": 0.0, "mass_density_g_cm3": 2.58, "formation_energy_uncorrected_ev_per_atom": -1.724, "vol_a3_per_cell": 74.6}

~~~~~

# 1
Density functional theory data (PBE) for a geometry-optimized PuTeCl structure.

Cell lengths 7.206, 7.206, 7.206 Å; angles 90.00, 90.00, 90.00 degrees
Space group F-43m (No. 216)
Unique sites:
Pu1 0.000 0.000 0.000 x4
Te1 0.250 0.250 0.750 x4
Cl1 0.250 0.250 0.250 x4

Summary:
The volume comes out at 31.18 Å³ per atom. The calculation puts the uncorrected formation energy at -1.258 eV/atom. Its density of states at the Fermi level is 33.6 states/eV/cell.

***

# 2
Density functional theory data (PBE) for a geometry-optimized Ac3Pm6Nd structure.

Cell lengths 10.2186, 10.2186, 12.8828 Å; angles 90.00, 90.00, 120.00 degrees
Space group R-3 (No. 148, hexagonal axes)
Unique sites:
Ac1 0.0000 0.0000 0.0000 x3
Ac2 0.0000 0.0000 0.2589 x6
Pm1 0.0014 0.6715 0.4239 x18
Nd1 0.0000 0.0000 0.5000 x3

Summary:
The volume comes out at 38.83 Å³ per atom. Its density of states at the Fermi level is 76.5 states/eV/cell. For the formation energy, the calculation gives 0.36 eV per atom.

***

# 3
Density functional theory data (PBE) for a geometry-optimized Sc2MoW structure.

Cell lengths 2.797, 2.797, 9.406 Å; angles 90.00, 90.00, 90.00 degrees
Space group P4/mmm (No. 123)
Unique sites:
Sc1 0.000 0.000 0.250 x2
Mo1 0.500 0.500 0.000 x1
W1 0.500 0.500 0.500 x1

Summary:
The volume comes out at 18.40 Å³ per atom. The calculation puts the energy above the most stable polymorph in this dataset at 252 meV/atom. Its density of states at the Fermi level is 5.3 states/eV/cell. For the formation energy, the calculation gives 0.28 eV per atom.

***

# 4
Density functional theory data (PBE) for a geometry-optimized Th3Si6Pd2Rh structure.

Cell lengths 5.8962, 5.8962, 7.8615 Å; angles 90.00, 90.00, 120.00 degrees
Space group P-3m1 (No. 164)
Unique sites:
Th1 0.0000 0.0000 0.0000 x1
Th2 0.3333 0.6667 0.6506 x2
Si1 0.1922 0.3844 0.3012 x6
Pd1 0.3333 0.6667 0.0372 x2
Rh1 0.0000 0.0000 0.5000 x1

Summary:
The volume comes out at 19.72 Å³ per atom. The calculation puts the uncorrected formation energy at -0.540 eV/atom. Its density of states at the Fermi level is 7.7 states/eV/cell.

***

# 5
Density functional theory data (PBE) for a geometry-optimized PrNd4SmEr2 structure.

Cell lengths 6.283, 3.646, 12.030 Å; angles 90.00, 100.11, 90.00 degrees
Space group P2/m (No. 10)
Unique sites:
Pr1 0.000 0.000 0.000 x1
Nd1 0.251 0.000 0.751 x2
Nd2 0.253 0.500 0.253 x2
Sm1 0.000 0.500 0.500 x1
Er1 0.500 0.000 0.500 x1
Er2 0.500 0.500 0.000 x1

Summary:
└──

3) Samuel had a great week last week. I'm having to relearn how to surrender and let go of worry. It's as if I've had to reteach myself to recognize that not every cry is one of not feeling well. He's approaching 17 months and has a wee bit of a temper at times. It's balance. And relearning. And trusting. And praising for the good days.

4) Over the course of the next week we have a follow-up visit with his amazing Pediatric GI Doctor (next Monday) and our visit with the Pediatric Immunology/Infectious Disease Doctor (tomorrow).I'm eager to visit with the doctor tomorrow and have been praying that he takes a serious and thorough look at my Samuel. I've been praying for good news and answers. And for that calm heart again. :)

5) I have only missed gluten a couple of times. I can hardly believe that I don't miss gluten more than I do -- considering it's in 90% of everything Target sells. I honestly believe that my determination in NOT eating gluten comes from seeing the change in my Samuel. A month ago he could hardly get up from the ground and now today he's going up and down stairs, climbing, walking without falling, and playing. He still has hard days, but they are less severe and shorter than they were previously. In fact, right now, he's been squirming on my lap while I've been writing this post. God is good.

Samuel with his gluten free gingersnap from Trader Joe's

6) Samuel's weight? UPDATE: I just weighed him and he's lost close to a pound in the last week. When I wrote this post this morning the last weight was sitting steady.  Then when I checked the plot on the Wii Fit he lost almost that pound.  I don't get it.  Sigh. **** He hasn't lost anymore weight, but he hasn't gained either. I don't get the no gaining because I see him eat and eat and eat --all gluten free. We've also taken him off lactose for 3months, and I chatted with his GI Doctor and we are repeating the biopsy in early summer to check healing of his gut. However, let me tell you, not losing anymore weight is a huge step in the right direction.

7) Last bit of info about me -- I wrote my post for 5Minutes for Faith. It's about rejoicing in the Lord -- in all times -- and is based off of Philippians 4. (I know you all are shocked that I used something from Philippians.)    I love that book. One of my goals for the next year is to memorize Philippians. I'm starting with chapter four. Anyone game to memorize it along with me? And click here to read my article at 5Minutes for Faith.

Kind of a serious miscellany monday. I know I haven't updated about Samuel for a bit. I'm in a quandry right now about the medical updates. I'm debating starting a caringbridge site dedicated just for him and his journey with Celiac Disease. But, then again, I want my life interwoven and real on this blog -- and Samuel's path speaks directly to my heart and my relationship with the Lord. Thoughts?

And once again, I'd truly be blessed if you could pray for me -- 
for my talk and for the appointments with Samuel.

Miscellany Monday @ lowercase letters